## Data
........
# 1
Starting from DFT lattice parameters and positions (GGA+U), the powder XRD pattern of Li4MnCo2O7 was simulated for Cu Kα, 1.54184 Å.
Neutral-atom scattering factors, no anomalous dispersion.

Structure:
```
Li4MnCo2O7
1.0
4.864 -1.428 0.000
4.864 1.428 0.000
-1.776 0.000 17.188
Li Mn Co O
8 2 4 14
direct
0.000 0.000 0.000 Li
0.000 0.000 0.499 Li
0.137 0.137 0.287 Li
0.296 0.296 0.563 Li
0.427 0.427 0.857 Li
0.568 0.568 0.147 Li
0.703 0.703 0.434 Li
0.858 0.858 0.703 Li
0.143 0.143 0.784 Mn
0.284 0.284 0.071 Mn
0.419 0.419 0.358 Co
0.575 0.575 0.638 Co
0.715 0.715 0.928 Co
0.853 0.853 0.214 Co
0.044 0.044 0.385 O
0.087 0.087 0.891 O
0.202 0.202 0.682 O
0.225 0.225 0.178 O
0.340 0.340 0.963 O
0.352 0.352 0.450 O
0.478 0.478 0.250 O
0.511 0.511 0.749 O
0.646 0.646 0.544 O
0.653 0.653 0.031 O
0.776 0.776 0.824 O
0.796 0.796 0.317 O
0.914 0.914 0.109 O
0.950 0.950 0.608 O
```

Main lines, by angle (10° ≤ 2θ ≤ 80°):
- 18.53 deg, I = 100
- 36.60 deg, I = 12
- 36.78 deg, I = 26
- 44.34 deg, I = 78
- 64.14 deg, I = 13
- 64.88 deg, I = 14


# 2
Starting from DFT lattice parameters and positions (GGA+U), the powder XRD pattern of Li7Mn2Co3O12 was simulated for Cu Kα, 1.54184 Å.
Neutral-atom scattering factors, no anomalous dispersion.

Structure:
```
Li7Mn2Co3O12
1.0
5.040 0.000 0.000
0.858 5.094 0.000
0.625 2.351 8.352
Li Mn Co O
7 2 3 12
direct
0.000 0.000 0.000 Li
0.238 0.755 0.760 Li
0.241 0.425 0.073 Li
0.258 0.083 0.415 Li
0.742 0.917 0.585 Li
0.759 0.575 0.927 Li
0.762 0.245 0.240 Li
0.001 0.329 0.671 Mn
0.999 0.671 0.329 Mn
0.492 0.834 0.158 Co
0.500 0.500 0.500 Co
0.508 0.166 0.842 Co
0.120 0.377 0.859 O
0.128 0.001 0.224 O
0.130 0.675 0.539 O
0.354 0.139 0.635 O
0.361 0.474 0.306 O
0.397 0.796 0.964 O
0.603 0.204 0.036 O
0.639 0.526 0.694 O
0.646 0.861 0.365 O
0.870 0.325 0.461 O
0.872 0.999 0.776 O
0.880 0.623 0.141 O
```

Main lines, by angle (10° ≤ 2θ ≤ 80°):
- 18.33 deg, I = 100
- 35.45 deg, I = 14
- 42.79 deg, I = 31
- 43.63 deg, I = 29
- 44.46 deg, I = 26
- 63.35 deg, I = 15


# 3
Starting from DFT lattice parameters and positions (GGA+U), the powder XRD pattern of Li7Mn4CoO12 was simulated for Cu Kα, 1.54184 Å.
Neutral-atom scattering factors, no anomalous dispersion.

Structure:
```
Li7Mn4CoO12
1.0
5.011 0.000 0.000
-0.877 5.006 0.000
-0.128 -2.438 8.376
Li Mn Co O
7 4 1 12
direct
0.000 0.000 0.000 Li
0.002 0.984 0.654 Li
0.514 0.006 0.168 Li
0.517 0.999 0.829 Li
0.529 0.993 0.489 Li
0.761 0.493 0.411 Li
0.995 0.005 0.331 Li
0.257 0.491 0.575 Mn
0.258 0.504 0.913 Mn
0.259 0.501 0.248 Mn
0.755 0.505 0.084 Mn
0.758 0.495 0.740 Co
0.127 0.718 0.773 O
0.132 0.725 0.121 O
0.157 0.720 0.450 O
0.367 0.274 0.376 O
0.379 0.278 0.048 O
0.390 0.279 0.709 O
0.617 0.728 0.278 O
0.618 0.733 0.959 O
0.622 0.720 0.629 O
0.886 0.285 0.875 O
0.899 0.273 0.198 O
0.908 0.256 0.543 O
```

Main lines, by angle (10° ≤ 2θ ≤ 80°):
- 18.46 deg, I = 100
- 36.50 deg, I = 23
- 43.34 deg, I = 29
- 44.17 deg, I = 27
- 44.30 deg, I = 27
- 63.89 deg, I = 15


- Number 1 is which compound?
  Li4MnCo2O7


- Number 1 is which compound?
  Li4MnCo2O7

----------

1.
For Ga2PdAu3, the GGA-PBE geometry in Alexandria gives the theoretical X-ray powder pattern in this record (Cu Kα (weighted mean of Kα1 and Kα2)).
No peak broadening, texture or thermal motion is included.

The 10 most intense peaks (2θ from 15° to 90°), by intensity:
2.333 Å, 38.59°, intensity 100; 2.376 Å, 37.86°, intensity 90; 2.183 Å, 41.37°, intensity 38; 2.001 Å, 45.33°, intensity 33; 2.777 Å, 32.23°, intensity 29; 1.954 Å, 46.47°, intensity 21; 1.475 Å, 63.03°, intensity 21; 2.606 Å, 34.42°, intensity 16; 2.742 Å, 32.65°, intensity 15; 1.398 Å, 66.93°, intensity 14

Cell and atoms:
```
Ga2PdAu3
1.0
6.550 -2.001 0.000
6.550 2.001 0.000
........

## Work order
Your job: filter the block above: keep the lines with the word "Main".

## Worked solution
Main lines, by angle (10° ≤ 2θ ≤ 80°):
Main lines, by angle (10° ≤ 2θ ≤ 80°):
Main lines, by angle (10° ≤ 2θ ≤ 80°):